-- Data --
<<<
Below is crystalline AgMo2P3O13 at its relaxed geometry, with properties calculated at the GGA+U level.

As for the energy: -6.9849 eV/atom.

Cell: 6.4939 22.7379 8.8671 Å, 90.00 126.42 90.00°
Closest atoms and distances in Å follow each position.
Space group P2_1/c (No. 14)
Symmetry-distinct sites (fractional):
Ag 0.0373 0.1320 0.2062  4 O 2.42-2.59
Mo 0.2585 0.7076 0.0364  1 O 1.71
Mo 0.4476 0.0634 0.7262  1 O 1.71
P 0.0175 0.0981 0.7990  4 O 1.52-1.62
P 0.3552 0.2036 0.5908  4 O 1.53-1.57
P 0.4728 0.5835 0.3482  4 O 1.52-1.64
O 0.0609 0.2088 0.4653  1 P 1.54
O 0.0641 0.6581 0.7947  1 P 1.52
O 0.1330 0.0573 0.7297  1 P 1.53
O 0.1875 0.5654 0.7003  1 P 1.53
O 0.1904 0.7242 0.4359  1 Mo 1.71
O 0.2405 0.1125 0.0176  2 P 1.62-1.64
O 0.2771 0.0598 0.4874  1 Mo 1.71
O 0.3271 0.6246 0.1814  1 P 1.52
O 0.3658 0.5800 0.4630  1 P 1.54
O 0.4172 0.1899 0.4480  1 P 1.57
O 0.4471 0.1531 0.7341  1 P 1.55
O 0.4846 0.0233 0.2058  1 P 1.53
>>>

-- What to do --
Could you say how many lines of the calculation results further up hold the word "and", as a bare number?

-- Done --
1